Entries.
(1)
Compound: CaAgF5
Source: Materials Project
Functional: PBE
Structure: optimized geometry

Unit cell a=10.446 b=5.711 c=8.219 alpha=69.37 beta=90.00 gamma=90.00
Fractional positions:
Ca1 0.020 0.531 0.744
Ca2 0.520 0.469 0.756
Ca3 0.980 0.469 0.256
Ca4 0.480 0.531 0.244
Ag1 0.753 0.114 0.598
Ag2 0.253 0.886 0.902
Ag3 0.247 0.886 0.402
Ag4 0.747 0.114 0.098
F1 0.891 0.403 0.549
F2 0.391 0.597 0.951
F3 0.109 0.597 0.451
F4 0.609 0.403 0.049
F5 0.604 0.370 0.506
F6 0.104 0.630 0.994
F7 0.396 0.630 0.494
F8 0.896 0.370 0.006
F9 0.402 0.128 0.807
F10 0.902 0.872 0.693
F11 0.598 0.872 0.193
F12 0.098 0.128 0.307
F13 0.131 0.183 0.858
F14 0.631 0.817 0.642
F15 0.869 0.817 0.142
F16 0.369 0.183 0.358
F17 0.696 0.152 0.837
F18 0.196 0.848 0.663
F19 0.304 0.848 0.163
F20 0.804 0.152 0.337

Results
Polymorph energy (0 for the lowest one) (eV/atom): 0.010
VASP energy (eV per formula unit): -29.733
Size of the total moment (μB per cell): 4.00
E (MP2020) (eV/atom): -4.58
Space-group type: P2_1/c, No. 14
ρ (g cm⁻³): 3.52
Formation energy (eV/atom): -2.5189



(2)
Compound: CaAgF5
Source: Materials Project
Functional: PBE
Structure: optimized geometry

Unit cell a=5.751 b=5.817 c=8.121 alpha=110.45 beta=96.32 gamma=108.87
Fractional positions:
Ca1 0.459 0.458 0.254
Ca2 0.541 0.542 0.746
Ag1 0.000 0.000 0.000
Ag2 0.000 0.000 0.500
F1 0.900 0.898 0.744
F2 0.100 0.102 0.256
F3 0.261 0.779 0.628
F4 0.789 0.258 0.880
F5 0.326 0.303 0.979
F6 0.305 0.323 0.531
F7 0.674 0.697 0.021
F8 0.695 0.677 0.469
F9 0.211 0.742 0.120
F10 0.739 0.221 0.372

Results
Polymorph energy (0 for the lowest one) (eV/atom): 0.672
VASP energy (eV per formula unit): -25.099
Size of the total moment (μB per cell): 0.02
E (MP2020) (eV/atom): -3.92
Space-group type: P-1, No. 2
ρ (g cm⁻³): 3.46
Formation energy (eV/atom): -1.8568



(3)
Compound: Ca2Ga7Ag
Source: Materials Project
Functional: PBE
Structure: optimized geometry

Unit cell a=4.315 b=4.315 c=11.071 alpha=90.00 beta=90.00 gamma=90.00
Fractional positions:
Ca1 0.500 0.000 0.750
Ca2 0.000 0.500 0.250
Ga1 0.000 0.500 0.861
Ga2 0.500 0.000 0.362
Ga3 0.500 0.000 0.139
Ga4 0.000 0.500 0.638
Ga5 0.000 0.000 0.500
Ga6 0.000 0.000 0.000
Ga7 0.500 0.500 0.500
Ag1 0.500 0.500 0.000

Results
VASP energy (eV per formula unit): -31.710
Space-group type: P-4m2, No. 115
ρ (g cm⁻³): 5.45
Formation energy (eV/atom): -0.3670



(4)
Compound: CaAgGe
Source: Materials Project
Functional: PBE
Structure: optimized geometry

Unit cell a=5.839 b=5.839 c=7.360 alpha=51.70 beta=51.70 gamma=46.13
Fractional positions:
Ca1 0.543 0.543 0.212
Ca2 0.457 0.457 0.788
Ag1 0.175 0.175 0.382
Ag2 0.825 0.825 0.618
Ge1 0.846 0.846 0.202
Ge2 0.154 0.154 0.798

Results
VASP energy (eV per formula unit): -10.786
Size of the total moment (μB per cell): 0.00
Space-group type: C2/m, No. 12
ρ (g cm⁻³): 5.48
Formation energy (eV/atom): -0.4416

~~~~~

# 1
A plane-wave DFT calculation with r²SCAN was carried out for a relaxed structure of TiCo2O4.

Cell and atoms, written as CIF:
```
data_TiCo2O4
_chemical_formula_sum 'Ti2 Co4 O8'
_cell_length_a 5.960
_cell_length_b 5.960
_cell_length_c 5.963
_cell_angle_alpha 122.15
_cell_angle_beta 120.92
_cell_angle_gamma 87.34
_symmetry_space_group_name_H-M 'P 1'
_symmetry_Int_Tables_number 1
loop_
_symmetry_equiv_pos_as_xyz
'x,y,z'
loop_
_atom_site_label
_atom_site_fract_x
_atom_site_fract_y
_atom_site_fract_z
Ti1 0.500 0.500 0.000
Ti2 0.000 0.500 0.500
Co1 0.609 0.859 0.750
Co2 0.391 0.141 0.250
Co3 0.000 0.000 0.500
Co4 0.000 0.500 0.000
O1 0.259 0.281 0.524
O2 0.246 0.268 0.976
O3 0.257 0.735 0.976
O4 0.792 0.270 0.524
O5 0.208 0.730 0.476
O6 0.754 0.732 0.024
O7 0.743 0.265 0.024
O8 0.741 0.719 0.476
```

Summary:
space-group type	C2/c (15)
energy relative to the elements	-2.0306	eV/atom



# 2
A plane-wave DFT calculation with r²SCAN was carried out for a relaxed structure of Yb2AgPt.

Cell and atoms, written as CIF:
```
data_Yb2AgPt
_chemical_formula_sum 'Yb2 Ag1 Pt1'
_cell_length_a 4.897
_cell_length_b 4.897

Request.
Filter the listing earlier on: keep the lines with the word "O5".

Here it is.
O5 0.208 0.730 0.476